Density functional theory data (PBE-GGA) for Nb3P after structural relaxation.

Cell lengths 7.6654, 7.6654, 7.6654 Å; angles 96.37, 96.37, 141.10 degrees
With the nearest neighbours (Å) after each atom.
Element x y z (fractional)
Nb  0.0772  0.3935  0.4840  2 P 2.56-2.70, 1 Nb 2.67
Nb  0.0903  0.2130  0.8383  4 P 2.58-2.64
Nb  0.2233  0.6920  0.9032  3 P 2.56-2.84
Nb  0.3080  0.2112  0.5313  3 P 2.56-2.84
Nb  0.3747  0.2520  0.1617  4 P 2.58-2.64
Nb  0.4068  0.9228  0.3163  2 P 2.56-2.70, 1 Nb 2.67
Nb  0.6065  0.0904  0.6837  2 P 2.56-2.70, 1 Nb 2.67
Nb  0.6799  0.7767  0.4687  3 P 2.56-2.84
Nb  0.7480  0.9097  0.1227  4 P 2.58-2.64
Nb  0.7870  0.6253  0.8773  4 P 2.58-2.64
Nb  0.7888  0.3201  0.0968  3 P 2.56-2.84
Nb  0.9096  0.5932  0.5160  2 P 2.56-2.70, 1 Nb 2.67
P  0.2354  0.4749  0.1741  9 Nb 2.56-2.84
P  0.3007  0.0613  0.8259  9 Nb 2.56-2.84
P  0.5251  0.6993  0.7606  9 Nb 2.56-2.84
P  0.9387  0.7646  0.2394  9 Nb 2.56-2.84

Calculated values
ρ (g/cm³): 7.7
Total DFT energy (no corrections) (eV/atom): -9.541
Formation energy (meV/atom): -612

=====

Record 1
The following is a DFT calculation (PBE+U) of a relaxed structure of Li2Mn3B3O9.

Summary:
Its corrected total energy (MP2020 scheme) is -1096.67 eV/cell. The size of the total moment comes out at 0.824 μB/atom. The total DFT energy (no corrections) comes out at -7.4057 eV per atom. The density is 3.1 Mg/m³.

Cell lengths 16.4711, 6.3388, 14.4046 Å; angles 90.00, 90.05, 90.00 degrees
Closest atoms and distances in Å follow each position.
Space group Cm (No. 8)
Unique sites:
Li: 0.0000 0.0000 0.0000  4 O 1.98-2.03
Li: 0.0021 0.5000 0.0010  4 O 1.99-2.08
Li: 0.2114 0.5000 0.1594  4 O 1.96-2.04
Li: 0.2260 0.0000 0.8720  4 O 1.96-2.07
Li: 0.2507 0.0000 0.4964  4 O 1.99-2.11
Li: 0.2532 0.5000 0.5028  4 O 1.99-2.01
Li: 0.4612 0.5000 0.6620  4 O 1.97-2.10
Li: 0.4759 0.0000 0.3715  4 O 1.95-2.02
Mn: 0.0537 0.2466 0.1947  5 O 2.01-2.21
Mn: 0.0624 0.2550 0.8215  5 O 2.09-2.18
Mn: 0.0757 0.2514 0.5161  5 O 2.01-2.21
Mn: 0.3032 0.2501 0.6944  5 O 2.02-2.19
Mn: 0.3123 0.2515 0.3216  5 O 2.09-2.18
Mn: 0.3253 0.2487 0.0163  5 O 2.02-2.21
B: 0.1433 0.2498 0.0108  3 O 1.37-1.40
B: 0.1469 0.5000 0.6724  3 O 1.38-1.39
B: 0.1481 0.5000 0.3454  3 O 1.38-1.39
B: 0.1489 0.0000 0.6768  3 O 1.39-1.40
B: 0.1495 0.0000 0.3466  3 O 1.38-1.39
B: 0.3942 0.2505 0.5109  3 O 1.37-1.40
B: 0.3949 0.5000 0.1743  3 O 1.38-1.40
B: 0.3974 0.0000 0.8477  3 O 1.37-1.39
B: 0.4005 0.5000 0.8436  3 O 1.38-1.40
B: 0.4019 0.0000 0.1765  3 O 1.36-1.40
O: 0.0677 0.2474 0.9666  1 B 1.40
O: 0.0775 0.5000 0.2928  1 B 1.39
O: 0.0798 0.0000 0.6217  1 B 1.39
O: 0.0807 0.5000 0.6131  1 B 1.38
O: 0.0888 0.0000 0.2808  1 B 1.38
O: 0.1321 0.0000 0.4413  1 B 1.39
O: 0.1347 0.5000 0.7675  1 B 1.38
O: 0.1410 0.0000 0.7733  1 B 1.40
O: 0.1435 0.5000 0.4410  1 B 1.38
O: 0.1474 0.2691 0.1061  1 B 1.38
O: 0.2131 0.2335 0.9595  1 B 1.37
O: 0.2230 0.5000 0.3008  1 B 1.39
O: 0.2260 0.0000 0.6371  1 B 1.39
O: 0.2257 0.5000 0.6375  1 B 1.39
O: 0.2306 0.0000 0.3213  1 B 1.38
O: 0.3188 0.2508 0.4663  1 B 1.40
O: 0.3267 0.5000 0.1164  1 B 1.40
O: 0.3293 0.0000 0.7906  1 B 1.39
O: 0.3362 0.0000 0.1189  1 B 1.36
O: 0.3369 0.5000 0.7816  1 B 1.38
O: 0.3842 0.5000 0.2696  1 B 1.38
O: 0.3862 0.0000 0.9433  1 B 1.39
O: 0.3894 0.5000 0.9386  1 B 1.38
O: 0.3918 0.0000 0.2731  1 B 1.40
O: 0.3980 0.2685 0.6060  1 B 1.38
O: 0.4641 0.2326 0.4594  1 B 1.37
O: 0.4727 0.5000 0.1372  1 B 1.39
O: 0.4753 0.0000 0.8140  1 B 1.37
O: 0.4789 0.5000 0.8061  1 B 1.40
O: 0.4809 0.0000 0.1400  1 B 1.40

***

Record 2
The following is a DFT calculation (PBE+U) of a relaxed structure of Li5Mn6B6O18.

Summary:
Its corrected total energy (MP2020 scheme) is -1120.33 eV/cell. The size of the total moment comes out at 0.829 μB/atom. The total DFT energy (no corrections) comes out at -7.3631 eV per atom. The density is 3.2 Mg/m³.

Cell lengths 16.4675, 6.3657, 14.3845 Å; angles 90.00, 90.60, 90.00 degrees
Closest atoms and distances in Å follow each position.
Say how many lines of the calculation results earlier on hold the word "structural", as a bare number.
1